== What to do ==
The reader should duplicate all of the calculation results further down without altering anything.

== Source ==
=====
Diffraction record for La3ZnGe6Pd2. The PXRD pattern is simulated, not measured: it uses a PBE-relaxed structure and Cu Kα (weighted mean of Kα1 and Kα2).

Peak list (12 most intense, 5° ≤ 2θ ≤ 70°, by angle)
26.99°, rel. 500; 29.55°, rel. 1000; 31.51°, rel. 395; 35.88°, rel. 878; 35.99°, rel. 239; 36.45°, rel. 980; 40.44°, rel. 711; 43.74°, rel. 286; 50.88°, rel. 237; 57.02°, rel. 320; 61.33°, rel. 403; 64.26°, rel. 249

abc: 6.046 6.046 8.517
angles: 90.00 90.00 120.00
Sites, in units of the cell vectors:
La1 0.000 0.000 0.000
La2 0.333 0.667 0.623
La3 0.667 0.333 0.377
Zn1 0.000 0.000 0.500
Ge1 0.190 0.379 0.280
Ge2 0.190 0.810 0.280
Ge3 0.379 0.190 0.720
Ge4 0.621 0.810 0.280
Ge5 0.810 0.190 0.720
Ge6 0.810 0.621 0.720
Pd1 0.333 0.667 0.028
Pd2 0.667 0.333 0.972
=====

== Written answer ==
Diffraction record for La3ZnGe6Pd2. The PXRD pattern is simulated, not measured: it uses a PBE-relaxed structure and Cu Kα (weighted mean of Kα1 and Kα2).

Peak list (12 most intense, 5° ≤ 2θ ≤ 70°, by angle)
26.99°, rel. 500; 29.55°, rel. 1000; 31.51°, rel. 395; 35.88°, rel. 878; 35.99°, rel. 239; 36.45°, rel. 980; 40.44°, rel. 711; 43.74°, rel. 286; 50.88°, rel. 237; 57.02°, rel. 320; 61.33°, rel. 403; 64.26°, rel. 249

abc: 6.046 6.046 8.517
angles: 90.00 90.00 120.00
Sites, in units of the cell vectors:
La1 0.000 0.000 0.000
La2 0.333 0.667 0.623
La3 0.667 0.333 0.377
Zn1 0.000 0.000 0.500
Ge1 0.190 0.379 0.280
Ge2 0.190 0.810 0.280
Ge3 0.379 0.190 0.720
Ge4 0.621 0.810 0.280
Ge5 0.810 0.190 0.720
Ge6 0.810 0.621 0.720
Pd1 0.333 0.667 0.028
Pd2 0.667 0.333 0.972